-- begin --
Record 1
15
Properties=species:S:1:pos:R:3 method="wB97M-V/def2-TZVPD" lumo_ev=3.950 energy_ev=-8389.9422 homo_energy_ha=-0.1349 orbital_gap_ha=0.280 total_charge=-1 de_lowest_kj_mol=53.0 fmax_ha_per_bohr=0.04033
C 0.134 -0.770 2.981
C -1.341 -0.570 2.545
H 0.723 -0.983 2.084
H 0.547 0.156 3.370
H 0.248 -1.668 3.576
H -1.950 -1.104 3.270
H -1.505 -1.199 1.659
H -1.679 0.418 2.269
C -0.496 -0.246 -2.434
C 0.523 0.503 -1.439
O 1.645 -0.035 -1.381
O -0.004 1.455 -0.841
H -0.016 -0.903 -3.167
H -1.079 0.441 -3.051
H -1.070 -0.867 -1.743

Record 2
128
Properties=species:S:1:pos:R:3 method="wB97M-V/def2-TZVPD" lumo_ev=-0.147 energy_ev=-162175.3710 homo_energy_ha=-0.3051 orbital_gap_ha=0.300 total_charge=0 fmax_ha_per_bohr=0.02826 smiles="CC(C)(C)CC(C)(C)c1ccc(OCCOCC[C@@H](C#N)[C@H](C#N)B(O)O)cc1.O=S1(=O)OCCO1.O=S1(=O)OCCO1.O=S1(=O)OCCO1.O=S1(=O)OCCO1.O=S1(=O)OCCO1.O=S1(=O)OCCO1"
C 2.660 3.196 4.361
C 3.704 3.021 3.236
C 4.897 3.948 3.629
C 4.304 1.599 3.218
C 3.252 3.513 1.845
C 1.892 3.036 1.251
C 1.398 1.648 1.706
C 2.122 2.890 -0.286
C 0.760 4.066 1.417
C 0.482 5.042 0.449
C -0.565 5.940 0.590
C -1.393 5.918 1.707
O -2.424 6.827 1.721
C -3.450 6.555 2.642
C -4.253 5.270 2.315
O -4.211 4.946 0.942
C -3.650 3.682 0.645
C -4.450 2.495 1.189
C -5.971 2.626 0.972
C -6.420 1.845 -0.192
N -6.537 1.077 -1.034
C -6.730 2.097 2.238
C -6.560 0.644 2.328
N -6.455 -0.494 2.424
B -8.297 2.477 2.229
O -8.716 3.718 2.646
O -9.212 1.530 1.838
C -1.115 4.989 2.703
C -0.062 4.094 2.542
H 3.217 3.375 5.285
H 2.057 2.305 4.547
H 2.070 4.098 4.194
H 5.741 3.664 2.993
H 4.675 5.002 3.455
H 5.195 3.734 4.656
H 3.489 0.876 3.336
H 4.744 1.420 2.239
H 4.997 1.432 4.042
H 3.186 4.606 1.924
H 4.056 3.325 1.128
H 0.623 1.329 1.005
H 2.214 0.938 1.563
H 1.003 1.609 2.718
H 2.782 3.709 -0.583
H 1.186 2.896 -0.843
H 2.632 1.946 -0.484
H 1.072 5.137 -0.452
H -0.749 6.676 -0.185
H -3.113 6.549 3.685
H -4.141 7.399 2.575
H -3.879 4.467 2.958
H -5.297 5.430 2.615
H -3.632 3.596 -0.445
H -2.609 3.594 0.974
H -4.252 2.420 2.262
H -4.063 1.571 0.755
H -6.229 3.680 0.839
H -6.294 2.525 3.145
H -8.144 4.395 2.259
H -9.582 1.754 0.974
H -1.730 4.936 3.592
H 0.119 3.359 3.316
C -0.848 1.354 -4.426
C -1.449 0.447 -3.373
O -0.561 -0.673 -3.311
S 0.931 -0.182 -3.606
O 1.597 0.020 -2.370
O 1.477 -0.990 -4.636
O 0.564 1.259 -4.218
H -1.074 0.998 -5.433
H -1.174 2.387 -4.324
H -2.452 0.115 -3.629
H -1.464 0.930 -2.392
C 8.791 -1.032 2.073
C 7.329 -1.293 1.789
O 6.676 -0.056 2.104
S 7.653 1.170 1.769
O 7.314 1.682 0.489
O 7.740 2.004 2.913
O 9.002 0.323 1.631
H 9.006 -1.083 3.139
H 9.445 -1.704 1.539
H 6.923 -2.100 2.392
H 7.158 -1.508 0.732
C -0.562 -5.746 -5.410
C -2.074 -5.706 -5.370
O -2.375 -4.509 -4.625
S -1.251 -3.405 -4.911
O -1.726 -2.516 -5.915
O -0.765 -2.919 -3.675
O -0.167 -4.378 -5.576
H -0.142 -6.111 -4.470
H -0.186 -6.350 -6.232
H -2.507 -6.574 -4.882
H -2.488 -5.601 -6.359
C -6.024 -5.643 -9.295
C -6.640 -6.555 -8.255
O -5.758 -7.686 -8.208
S -4.259 -7.208 -8.498
O -3.584 -7.024 -7.258
O -3.717 -8.016 -9.525
O -4.610 -5.763 -9.084
H -6.249 -5.980 -10.308
H -6.335 -4.609 -9.180
H -7.646 -6.871 -8.516
H -6.650 -6.087 -7.269
C -2.995 -1.890 2.661
C -3.226 -2.967 1.626
O -2.118 -2.833 0.724
S -0.822 -2.346 1.529
O -0.020 -3.473 1.846
O -0.290 -1.209 0.874
O -1.576 -1.878 2.867
H -3.297 -0.909 2.287
H -3.508 -2.093 3.596
H -4.166 -2.843 1.097
H -3.186 -3.963 2.071
C 8.403 -6.409 3.772
C 7.285 -6.064 2.810
O 7.636 -4.763 2.315
S 9.230 -4.630 2.238
O 9.656 -4.892 0.913
O 9.603 -3.437 2.914
O 9.588 -5.894 3.148
H 8.274 -5.904 4.731
H 8.499 -7.478 3.935
H 6.311 -6.037 3.289
H 7.256 -6.754 1.965

Record 3
35
Properties=species:S:1:pos:R:3 method="wB97M-V/def2-TZVPD" lumo_ev=-2.690 energy_ev=-26221.8876 homo_energy_ha=-0.4873 orbital_gap_ha=0.388 total_charge=+1 de_lowest_kj_mol=9.9 fmax_ha_per_bohr=0.03222
C -2.346 1.138 2.492
N -2.430 1.014 1.013
C -3.847 1.180 0.505
C -1.495 0.258 0.378
Cl -1.846 -0.091 -1.326
H -3.197 1.726 2.862
H -2.382 0.134 2.945
-- stop --
Reproduce everything above exactly.
Record 1
15
Properties=species:S:1:pos:R:3 method="wB97M-V/def2-TZVPD" lumo_ev=3.950 energy_ev=-8389.9422 homo_energy_ha=-0.1349 orbital_gap_ha=0.280 total_charge=-1 de_lowest_kj_mol=53.0 fmax_ha_per_bohr=0.04033
C 0.134 -0.770 2.981
C -1.341 -0.570 2.545
H 0.723 -0.983 2.084
H 0.547 0.156 3.370
H 0.248 -1.668 3.576
H -1.950 -1.104 3.270
H -1.505 -1.199 1.659
H -1.679 0.418 2.269
C -0.496 -0.246 -2.434
C 0.523 0.503 -1.439
O 1.645 -0.035 -1.381
O -0.004 1.455 -0.841
H -0.016 -0.903 -3.167
H -1.079 0.441 -3.051
H -1.070 -0.867 -1.743

Record 2
128
Properties=species:S:1:pos:R:3 method="wB97M-V/def2-TZVPD" lumo_ev=-0.147 energy_ev=-162175.3710 homo_energy_ha=-0.3051 orbital_gap_ha=0.300 total_charge=0 fmax_ha_per_bohr=0.02826 smiles="CC(C)(C)CC(C)(C)c1ccc(OCCOCC[C@@H](C#N)[C@H](C#N)B(O)O)cc1.O=S1(=O)OCCO1.O=S1(=O)OCCO1.O=S1(=O)OCCO1.O=S1(=O)OCCO1.O=S1(=O)OCCO1.O=S1(=O)OCCO1"
C 2.660 3.196 4.361
C 3.704 3.021 3.236
C 4.897 3.948 3.629
C 4.304 1.599 3.218
C 3.252 3.513 1.845
C 1.892 3.036 1.251
C 1.398 1.648 1.706
C 2.122 2.890 -0.286
C 0.760 4.066 1.417
C 0.482 5.042 0.449
C -0.565 5.940 0.590
C -1.393 5.918 1.707
O -2.424 6.827 1.721
C -3.450 6.555 2.642
C -4.253 5.270 2.315
O -4.211 4.946 0.942
C -3.650 3.682 0.645
C -4.450 2.495 1.189
C -5.971 2.626 0.972
C -6.420 1.845 -0.192
N -6.537 1.077 -1.034
C -6.730 2.097 2.238
C -6.560 0.644 2.328
N -6.455 -0.494 2.424
B -8.297 2.477 2.229
O -8.716 3.718 2.646
O -9.212 1.530 1.838
C -1.115 4.989 2.703
C -0.062 4.094 2.542
H 3.217 3.375 5.285
H 2.057 2.305 4.547
H 2.070 4.098 4.194
H 5.741 3.664 2.993
H 4.675 5.002 3.455
H 5.195 3.734 4.656
H 3.489 0.876 3.336
H 4.744 1.420 2.239
H 4.997 1.432 4.042
H 3.186 4.606 1.924
H 4.056 3.325 1.128
H 0.623 1.329 1.005
H 2.214 0.938 1.563
H 1.003 1.609 2.718
H 2.782 3.709 -0.583
H 1.186 2.896 -0.843
H 2.632 1.946 -0.484
H 1.072 5.137 -0.452
H -0.749 6.676 -0.185
H -3.113 6.549 3.685
H -4.141 7.399 2.575
H -3.879 4.467 2.958
H -5.297 5.430 2.615
H -3.632 3.596 -0.445
H -2.609 3.594 0.974
H -4.252 2.420 2.262
H -4.063 1.571 0.755
H -6.229 3.680 0.839
H -6.294 2.525 3.145
H -8.144 4.395 2.259
H -9.582 1.754 0.974
H -1.730 4.936 3.592
H 0.119 3.359 3.316
C -0.848 1.354 -4.426
C -1.449 0.447 -3.373
O -0.561 -0.673 -3.311
S 0.931 -0.182 -3.606
O 1.597 0.020 -2.370
O 1.477 -0.990 -4.636
O 0.564 1.259 -4.218
H -1.074 0.998 -5.433
H -1.174 2.387 -4.324
H -2.452 0.115 -3.629
H -1.464 0.930 -2.392
C 8.791 -1.032 2.073
C 7.329 -1.293 1.789
O 6.676 -0.056 2.104
S 7.653 1.170 1.769
O 7.314 1.682 0.489
O 7.740 2.004 2.913
O 9.002 0.323 1.631
H 9.006 -1.083 3.139
H 9.445 -1.704 1.539
H 6.923 -2.100 2.392
H 7.158 -1.508 0.732
C -0.562 -5.746 -5.410
C -2.074 -5.706 -5.370
O -2.375 -4.509 -4.625
S -1.251 -3.405 -4.911
O -1.726 -2.516 -5.915
O -0.765 -2.919 -3.675
O -0.167 -4.378 -5.576
H -0.142 -6.111 -4.470
H -0.186 -6.350 -6.232
H -2.507 -6.574 -4.882
H -2.488 -5.601 -6.359
C -6.024 -5.643 -9.295
C -6.640 -6.555 -8.255
O -5.758 -7.686 -8.208
S -4.259 -7.208 -8.498
O -3.584 -7.024 -7.258
O -3.717 -8.016 -9.525
O -4.610 -5.763 -9.084
H -6.249 -5.980 -10.308
H -6.335 -4.609 -9.180
H -7.646 -6.871 -8.516
H -6.650 -6.087 -7.269
C -2.995 -1.890 2.661
C -3.226 -2.967 1.626
O -2.118 -2.833 0.724
S -0.822 -2.346 1.529
O -0.020 -3.473 1.846
O -0.290 -1.209 0.874
O -1.576 -1.878 2.867
H -3.297 -0.909 2.287
H -3.508 -2.093 3.596
H -4.166 -2.843 1.097
H -3.186 -3.963 2.071
C 8.403 -6.409 3.772
C 7.285 -6.064 2.810
O 7.636 -4.763 2.315
S 9.230 -4.630 2.238
O 9.656 -4.892 0.913
O 9.603 -3.437 2.914
O 9.588 -5.894 3.148
H 8.274 -5.904 4.731
H 8.499 -7.478 3.935
H 6.311 -6.037 3.289
H 7.256 -6.754 1.965

Record 3
35
Properties=species:S:1:pos:R:3 method="wB97M-V/def2-TZVPD" lumo_ev=-2.690 energy_ev=-26221.8876 homo_energy_ha=-0.4873 orbital_gap_ha=0.388 total_charge=+1 de_lowest_kj_mol=9.9 fmax_ha_per_bohr=0.03222
C -2.346 1.138 2.492
N -2.430 1.014 1.013
C -3.847 1.180 0.505
C -1.495 0.258 0.378
Cl -1.846 -0.091 -1.326
H -3.197 1.726 2.862
H -2.382 0.134 2.945